**Assignment:**
Find the line below that holds "a=3.941 b=8.134", then return that line and all lines after it there.

**Excerpt:**
[1]
AcZnGe2Rh: optimized geometry, PBE.

Unit cell a=4.336 b=4.336 c=6.223 alpha=110.39 beta=110.39 gamma=90.00
Atoms (fractional coordinates):
Ge 0.625 0.625 0.249
Zn 0.250 0.750 0.500
Rh 0.750 0.250 0.500
Ac 0.000 0.000 0.000
Ge 0.375 0.375 0.751

Results
Space group ... No. 119
Energy relative to the elements ... -622.5 meV per atom

[2]
RePd2Ru: optimized geometry, PBE.

Unit cell a=5.657 b=5.657 c=6.769 alpha=65.30 beta=65.30 gamma=90.00
Atoms (fractional coordinates):
Pd 0.375 0.373 0.750
Pd 0.627 0.125 0.250
Pd 0.875 0.877 0.750
Ru 0.250 0.750 0.500
Ru 0.500 0.500 0.000
Pd 0.123 0.625 0.250
Re 0.000 0.000 0.000
Re 0.750 0.250 0.500

Results
Energy above the most stable polymorph in this dataset ... 1.090 eV/atom
Space group ... No. 122
Energy relative to the elements ... 1643.2 meV per atom

[3]
HfTeMo2N: optimized geometry, PBE.

Unit cell a=4.846 b=5.293 c=4.846 alpha=90.00 beta=90.00 gamma=90.00
Atoms (fractional coordinates):
N 0.500 0.500 0.500
Hf 0.000 0.000 0.000
Mo 0.500 0.000 0.000
Mo 0.000 0.000 0.500
Te 0.000 0.500 0.000

Results
Space group ... No. 123
E_form (uncorrected) ... 2.8001 eV/atom

[4]
Ho6RhSe3S2: optimized geometry, PBE.

Unit cell a=3.941 b=8.134 c=9.037 alpha=103.51 beta=102.59 gamma=90.00
Atoms (fractional coordinates):
S 0.831 0.663 0.662
Ho 0.662 0.092 0.324
Ho 0.338 0.908 0.676
Ho 0.670 0.572 0.340
Ho 0.330 0.428 0.660
Se 0.500 0.500 0.000
Ho 0.003 0.232 0.006
S 0.169 0.337 0.338
Se 0.830 0.170 0.660
Ho 0.997 0.768 0.994
Se 0.170 0.830 0.340
Rh 0.500 0.000 0.000

Results
Space group ... No. 12
E_form (uncorrected) ... -1.6682 eV/atom

[5]
AcPtS2O8: optimized geometry, PBE.

Unit cell a=5.268 b=5.268 c=7.885 alpha=90.00 beta=90.00 gamma=120.00
Last column: magnetic moment on the atom in μB.
Atoms (fractional coordinates):
Pt 0.000 0.000 0.000  0.86
S 0.667 0.333 0.294  0.01
Ac 0.000 0.000 0.500  0.00
O 0.178 0.822 0.763  0.01
O 0.822 0.178 0.237  0.01
O 0.178 0.356 0.763  0.01
O 0.667 0.333 0.486  0.01
O 0.644 0.822 0.763  0.01
S 0.333 0.667 0.706  0.01
O 0.356 0.178 0.237  0.01
O 0.333 0.667 0.514  0.01
O 0.822 0.644 0.237  0.01

Results
Space group ... No. 164
E_form (uncorrected) ... -1.4765 eV/atom

[6]
GaTcMo2H: optimized geometry, PBE.

Unit cell a=3.973 b=3.973 c=4.013 alpha=90.00 beta=90.00 gamma=90.00
Atoms (fractional coordinates):
H 0.000 0.000 0.000
Mo 0.000 0.500 0.000
Tc 0.000 0.000 0.500
Mo 0.500 0.000 0.000
Ga 0.500 0.500 0.500

Results
E ... -7.5849 eV/atom
Space group ... No. 123

[7]
AcGd2H: optimized geometry, PBE.

Unit cell a=3.756 b=3.756 c=9.103 alpha=78.09 beta=78.09 gamma=60.00
Last column: magnetic moment on the atom in μB.
Atoms (fractional coordinates):
H 0.000 0.000 0.000  -0.01
Gd 0.718 0.718 0.846  7.05
Ac 0.500 0.500 0.500  -0.04
Gd 0.282 0.282 0.154  7.05

Results
E ... -9.0570 eV/atom
Space group ... No. 166

[8]
LiTlCl4: optimized geometry, PBE.

Unit cell a=3.941 b=6.489 c=12.682 alpha=90.77 beta=90.00 gamma=90.00
Atoms (fractional coordinates):
Cl 0.500 0.828 0.118
Cl 0.500 0.829 0.608
Li 0.000 0.000 0.500
Cl 0.000 0.671 0.892
Cl 0.500 0.171 0.392
Cl 0.000 0.672 0.382
Li 0.500 0.500 0.000
Cl 0.000 0.328 0.618
Cl 0.500 0.172 0.882
Cl 0.000 0.329 0.108
Tl 0.000 0.000 0.000
Tl 0.500 0.500 0.500

Results
Energy above the most stable polymorph in this dataset ... 0.000 eV/atom
Space group ... No. 12
E_form (uncorrected) ... -1.0441 eV/atom

=====

Entry 1:
A relaxed structure of SrTbTeAuSe2. Source: OQMD via LeMat-Bulk, functional PBE-GGA.

Lattice parameters (Å, degrees): 7.606 7.606 10.991 90.00 90.00 148.41
Atoms (fractional coordinates):
Sr (0.782, 0.218, 0.750)
Se (0.635, 0.365, 0.441)
Te (0.898, 0.102, 0.250)
Au (0.473, 0.527, 0.750)
Te (0.102, 0.898, 0.750)
Tb (0.000, 0.000, 0.500)
Se (0.365, 0.635, 0.559)
Au (0.527, 0.473, 0.250)
Se (0.635, 0.365, 0.059)
Se (0.365, 0.635, 0.941)
Sr (0.218, 0.782, 0.250)
Tb (0.000, 0.000, 0.000)

Computed properties:
V ... 27.756 A^3/atom
Spin magnetization ... 0.0 μB/f.u.
Symmetry ... No. 63

**Outcome:**
Unit cell a=3.941 b=8.134 c=9.037 alpha=103.51 beta=102.59 gamma=90.00
Atoms (fractional coordinates):
S 0.831 0.663 0.662
Ho 0.662 0.092 0.324
Ho 0.338 0.908 0.676
Ho 0.670 0.572 0.340
Ho 0.330 0.428 0.660
Se 0.500 0.500 0.000
Ho 0.003 0.232 0.006
S 0.169 0.337 0.338
Se 0.830 0.170 0.660
Ho 0.997 0.768 0.994
Se 0.170 0.830 0.340
Rh 0.500 0.000 0.000

Results
Space group ... No. 12
E_form (uncorrected) ... -1.6682 eV/atom

[5]
AcPtS2O8: optimized geometry, PBE.

Unit cell a=5.268 b=5.268 c=7.885 alpha=90.00 beta=90.00 gamma=120.00
Last column: magnetic moment on the atom in μB.
Atoms (fractional coordinates):
Pt 0.000 0.000 0.000  0.86
S 0.667 0.333 0.294  0.01
Ac 0.000 0.000 0.500  0.00
O 0.178 0.822 0.763  0.01
O 0.822 0.178 0.237  0.01
O 0.178 0.356 0.763  0.01
O 0.667 0.333 0.486  0.01
O 0.644 0.822 0.763  0.01
S 0.333 0.667 0.706  0.01
O 0.356 0.178 0.237  0.01
O 0.333 0.667 0.514  0.01
O 0.822 0.644 0.237  0.01

Results
Space group ... No. 164
E_form (uncorrected) ... -1.4765 eV/atom

[6]
GaTcMo2H: optimized geometry, PBE.

Unit cell a=3.973 b=3.973 c=4.013 alpha=90.00 beta=90.00 gamma=90.00
Atoms (fractional coordinates):
H 0.000 0.000 0.000
Mo 0.000 0.500 0.000
Tc 0.000 0.000 0.500
Mo 0.500 0.000 0.000
Ga 0.500 0.500 0.500

Results
E ... -7.5849 eV/atom
Space group ... No. 123

[7]
AcGd2H: optimized geometry, PBE.

Unit cell a=3.756 b=3.756 c=9.103 alpha=78.09 beta=78.09 gamma=60.00
Last column: magnetic moment on the atom in μB.
Atoms (fractional coordinates):
H 0.000 0.000 0.000  -0.01
Gd 0.718 0.718 0.846  7.05
Ac 0.500 0.500 0.500  -0.04
Gd 0.282 0.282 0.154  7.05

Results
E ... -9.0570 eV/atom
Space group ... No. 166

[8]
LiTlCl4: optimized geometry, PBE.

Unit cell a=3.941 b=6.489 c=12.682 alpha=90.77 beta=90.00 gamma=90.00
Atoms (fractional coordinates):
Cl 0.500 0.828 0.118
Cl 0.500 0.829 0.608
Li 0.000 0.000 0.500
Cl 0.000 0.671 0.892
Cl 0.500 0.171 0.392
Cl 0.000 0.672 0.382
Li 0.500 0.500 0.000
Cl 0.000 0.328 0.618
Cl 0.500 0.172 0.882
Cl 0.000 0.329 0.108
Tl 0.000 0.000 0.000
Tl 0.500 0.500 0.500

Results
Energy above the most stable polymorph in this dataset ... 0.000 eV/atom
Space group ... No. 12
E_form (uncorrected) ... -1.0441 eV/atom

=====

Entry 1:
A relaxed structure of SrTbTeAuSe2. Source: OQMD via LeMat-Bulk, functional PBE-GGA.

Lattice parameters (Å, degrees): 7.606 7.606 10.991 90.00 90.00 148.41
Atoms (fractional coordinates):
Sr (0.782, 0.218, 0.750)
Se (0.635, 0.365, 0.441)
Te (0.898, 0.102, 0.250)
Au (0.473, 0.527, 0.750)
Te (0.102, 0.898, 0.750)
Tb (0.000, 0.000, 0.500)
Se (0.365, 0.635, 0.559)
Au (0.527, 0.473, 0.250)
Se (0.635, 0.365, 0.059)
Se (0.365, 0.635, 0.941)
Sr (0.218, 0.782, 0.250)
Tb (0.000, 0.000, 0.000)

Computed properties:
V ... 27.756 A^3/atom
Spin magnetization ... 0.0 μB/f.u.
Symmetry ... No. 63